Cif sex term. 10 Apr 2012. Cif sex term

-- begin --
Diffraction record for MgAlSi. The powder X-ray diffraction pattern is theoretical, not measured: it uses a structure optimized by DFT (GGA-PBE) and λ = 1.5418 Å (Cu Kα).

Largest 12 diffraction maxima, in order of rising 2θ, 5° ≤ 2θ ≤ 70°:
d_spacing  2theta  intensity  index
2.613  34.32  89.9  1 1 2
2.554  35.14  37.1  2 1 0
2.508  35.80  23.7  1 0 3
2.436  36.89  100.0  2 1 1
2.237  40.32  54.3  0 1 3
2.144  42.15  23.6  3 0 1
2.121  42.63  31.9  1 1 3
2.030  44.64  15.2  0 0 4
1.987  45.67  49.3  0 2 0
1.950  46.58  36.7  3 0 2
1.403  66.69  16.8  3 1 4
1.392  67.28  23.9  3 2 2

Atomic structure:
```
data_MgAlSi
_chemical_formula_sum 'Mg4 Al4 Si4'
_space_group_name_H-M_alt 'P n m a'
_space_group_IT_number 62
_space_group_name_Hall '-P 2ac 2n'
_cell_length_a 6.668
_cell_length_b 3.973
_cell_length_c 8.120
_cell_angle_alpha 90.00
_cell_angle_beta 90.00
_cell_angle_gamma 90.00
-- stop --
 10 Apr 2012Cif sex term  This insurance is based on the minimum coverage, which is the commercial value of the
### Someone pasted data records at this point
Structure and computed X-ray powder pattern of Tb5Tl3In (a crystal structure in Alexandria, relaxed with GGA-PBE; Cu Kα X-rays).
Intensities are scaled so that the largest is 100.

Structural model:
abc: 9.3672 9.3672 6.6874
angles: 90.00 90.00 120.00
Space group P6_3/mcm (No. 193)
Symmetry-distinct sites (fractional):
Tb 0.0000 0.2877 0.2500 x6
Tb 0.3333 0.6667 0.0000 x4
Tl 0.0000 0.3734 0.7500 x6
In 0.0000 0.0000 0.0000 x2

Peak list (10 most intense, 2θ from 15° to 90°, low angle first)
| 2θ (°) | I/Imax | h k l |
| --- | --- | --- |
| 26.7 | 13 | 0 0 2 |
| 32.1 | 38 | 2 1 1 |
| 32.9 | 100 | 1 1 2 |
| 33.1 | 94 | 3 0 0 |
| 42.4 | 16 | 3 1 1 |
| 47.4 | 29 | 2 2 2 |
| 50.6 | 11 | 2 1 3 |
| 59.0 | 23 | 4 1 2 |
| 62.1 | 14 | 4 2 1 |
| 65.6 | 37 | 3 0 4 |

=====

Structure and computed X-ray powder pattern of Nd3Cd3Hg (a crystal structure in Alexandria, relaxed with GGA-PBE; Cu Kα X-rays).
Intensities are scaled so that the largest is 100.

Structural model:
abc: 3.5649 5.0295 21.4759
angles: 90.00 90.00 90.00
Space group Imm2 (No. 44)
Symmetry-distinct sites (fractional):
Nd 0.0000 0.0000 0.0000 x2
Nd 0.0000 0.0000 0.3945 x2
Nd 0.0000 0.5000 0.2004 x2
Cd 0.0000 0.0000 0.5569 x2
Cd 0.0000 0.0000 0.8412 x2
Cd 0.0000 0.5000 0.6304 x2
Hg 0.0000 0.5000 0.7649 x2

Peak list (10 most intense, 2θ from 15° to 90°, low angle first)
| 2θ (°) | I/Imax | h k l |
| --- | --- | --- |
| 31.9 | 100 | 1 1 2 |
| 32.6 | 50 | 1 0 5 |
| 34.2 | 82 | 0 1 7 |
| 35.7 | 44 | 0 2 0 |
| 39.9 | 19 | 1 1 6 |
| 49.1 | 32 | 1 2 5 |
| 51.3 | 16 | 2 0 0 |
| 61.8 | 15 | 1 3 2 |
| 63.1 | 27 | 2 1 7 |
| 64.0 | 16 | 2 2 0 |

=====

Structure and computed X-ray powder pattern of UH2Cl2O3 (a crystal structure in Alexandria, relaxed with GGA-PBE; Cu Kα X-rays).
Intensities are scaled so that the largest is 100.

Structural model:
abc: 5.9672 8.7558 6.2014
angles: 90.00 106.12 90.00
Space group P2_1/m (No. 11)
Symmetry-distinct sites (fractional):
U 0.0738 0.2500 0.0919 x2
H 0.4589 0.1610 0.5355 x4
Cl 0.1925 0.5511 0.2372 x4
O 0.1510 0.7500 0.7696 x2
O 0.2954 0.2500 0.9494 x2
O 0.3704 0.2500 0.4617 x2

Peak list (10 most intense, 2θ from 15° to 90°, low angle first)
| 2θ (°) | I/Imax | h k l |
| --- | --- | --- |
| 15.5 | 79 | 1 0 0 |
| 18.0 | 31 | 0 1 1 |
| 18.3 | 100 | 1 0 -1 |
| 20.3 | 44 | 0 2 0 |
| 25.2 | 37 | 0 2 1 |
| 25.6 | 31 | 1 2 0 |
| 26.4 | 37 | 1 1 1 |
| 27.4 | 22 | 1 2 -1 |

# Between two parts of the entry: crystal structures
~~~
# Na2VF6
Calculated powder diffraction line list, Cu Kα, 1.54184 Å. Input: a GGA+U-relaxed structure.
No peak broadening, texture or thermal motion is included.

Most intense lines, 10° ≤ 2θ ≤ 90°, in order of rising 2θ:
2θ/deg  I_rel  (hkl)
17.66  27  0 0 2
19.73  59  1 0 1
25.02  100  1 1 0
32.11  37  1 0 3
36.86  49  1 1 3
40.06  14  2 1 0
48.75  65  2 1 3
51.35  29  2 2 0
54.75  10  2 2 2
54.86  11  0 0 6
61.20  12  1 1 6
61.87  30  3 0 3

Structure:
```
18
Lattice="5.0330 0.0000 0.0000 0.0000 5.0330 0.0000 0.0000 0.0000 10.0417" Properties=species:S:1:pos:R:3 pbc="T T T"
Na 0.0000 0.0000 1.6696
Na 0.0000 0.0000 8.3721
Na 2.5165 2.5165 3.3512
Na 2.5165 2.5165 6.6905
V 0.0000 0.0000 5.0209
V 2.5165 2.5165 0.0000
F 0.9182 0.9182 3.6290
F 0.9182 0.9182 6.4127
F 1.2061 1.2061 0.0000
F 1.3104 3.7226 5.0209
F 1.5983 3.4347 1.3919
F 1.5983 3.4347 8.6498
F 3.4347 1.5983 1.3919
F 3.4347 1.5983 8.6498
F 3.7226 1.3104 5.0209
F 3.8269 3.8269 0.0000
F 4.1148 4.1148 3.6290
F 4.1148 4.1148 6.4127
```
~~~
CIF offers more coverage for the buyer, but CPT offers. 2008-03-27 4:43:12 PM. Cisgender (often shortened to cis; sometimes cissexual) is a term used to describe a person whose gender identity corresponds to their sex assigned at birth. In CIF terms, the seller clears the goods at origin places the cargo on board and pays for insurance until the port of discharge at the minimum coverage. of marine insurance, and make over to the buyer the contract documents or. It is an international shipping agreement that stands for Cost, Insurance, and Freight. There is a lot of talk in the global trade world about the incoterms and how to. Incoterms is short for International Commercial Terms. Cost, insurance, and freight (CIF) is what a seller pays to cover the cost of shipping, as well as the insurance to protect against the potential damage of loss to a buyer’s order. ashikoki ( 足扱き, 足コキ) — using the feet to manipulate a sex partner's penis. It is commonly used for maritime or inland waterway transport. Pleasure, satisfaction, comfort, necessity, overall yum. C&F, CFR COST AND FRIEGHT have the same meaning. a. I hope they also explain the following terms BBJ Russian English World Traveler Open Minded Incall Functional BBJ - bareback blowjob Russian - between the breasts penis. We offer an online marketplace with unique algorithms, that will streamline the way companies buy transportation to a better price. Contract Terms and CIF. How to use the term CIF: I'm so full that I CIF References: There are no references for CIF at this time. Under CIF, the seller is responsible for the cost and freight of bringing the goods to the port of. Cost and Freight (CFR) (though sometimes shortened as C&F or CNF): Deciding whether to buy or sell on an “F” term (e. GloryH0le. Business » Professional Organizations. Autoerotic asphyxiation-- Let's just borrow the Wikipedia definition for this one: "intentionally cutting off oxygen to the brain for sexual arousal. CIF Free Out means CIF is as defined in the most recent edition of INCOTERMS (2010) as published by the International Chamber of Commerce (Paris, France) and Free Out means that Buyer shall arrange for and bear the expenses of unloading the Parcel form the vessel ’s hold at the Port of Discharge. CIF obligates the seller to arrange, pay for and complete the goods’ delivery to the port agreed to by the parties and to load the goods aboard the ship arranged by the buyer. Applies to: Sea and inland waterway only Click to enlarge. Diese Liste von Abkürzungen in der Sexarbeit beinhaltet Abkürzungen und Jargon-Ausdrücke, die häufig in der Sexarbeit oder Prostitution, in der Pornografie oder in ähnlichen Bereichen verwendet werden. Onus to bear costs and risks. However, CIF can be more expensive for the buyer, as. What are CIF Shipping Terms. CIF provides the buyer with more peace of mind but is a more expensive option. This is the fact. wizards ASS alt. GFE stands for "Girl Friend Experience" and is a slang term for the description of a type of prostitute. The detailed articles on CIF and DAT with simple language have been mentioned in this web blog separately. They define the conditions of transport, as well as the allocation of responsibilities and costs between the seller and the buyer. 2) Even if CIF is responsible for the cost of insurance, the risk transfer is based on the port of shipment and shipment on board. Bang. The meaning "69" in sexual terms is when one person is laying down on their back and the other is on their stomach giving oral sex to each other. Defining LGBTQ Terms and Concepts. Often referred to as simply "sex", "physical sex," "anatomical sex", or specifically as "sex assigned. The named place where the transfer of responsibility occurs is always on the buyer’s side. bat or bat off – to masturbate (uncommon) blue – pornographic ("a blue movie") bugger. Used for labeling a friend that is very close and intimate, also for denying that you are in a Romantic Relationship with somebody. Nevertheless, buyers are advised to add insurance coverage to their cargo to avoid complications, so the total price for the buyer can be similar to or higher than CFR. Bugger. One of the pieces you need to understand is the CIF Incoterm. Looking for online definition of CIF or what CIF stands for? CIF is listed in the World's most authoritative dictionary of abbreviations and acronyms CIF - What does CIF stand for? The sex of an individual as determined by chromosomes (such as XX or XY), hormones, internal anatomy (such as gonads) hormone levels, hormone receptors, and genes, and external anatomy (such as genitalia). sex: [noun] either of the two major forms of individuals that occur in many species and that are distinguished respectively as female or male especially on the basis of their reproductive organs and structures. The seller covers all transport costs to the buyer's destination port, insurance for the shipment through its final delivery. La sigla CIF pertenece a uno de los once términos actuales de la revisión más reciente: Incoterm 2010. C. Carriage to port of export. two in the coot, one in the boot; Definitions include: a sexual maneuver in which two fingers are inserted into the vagina ("the coot") and one finger is inserted into the anus ("the boot"). Casey Foundation. Core CIF dictionary. CIF insurance is one of the eleven international commerce terms (Incoterms) created by the International Chamber of Commerce in 1936. You are a Machinary seller situated in Mumbai, India. Julia Naftulin. Ο όρος αυτός μπορεί να χρησιμοποιηθεί μόνο για μεταφορά διά θαλάσσης ή διά εσωτερικής υδάτινης οδού. Cum In Face. CIF - Cost, Insurance and Freight (named port of destination) This term is broadly similar to the above CFR term, with the exception that the seller is required to obtain insurance for the goods while in transit to the named port of destination. If you know of another definition of CIF that should be. Once the cargo arrives at its destination, the risk. They determine the conditions for the worldwide exchange of goods. Often referred to as simply "sex", "physical sex," "anatomical sex", or specifically as "sex assigned. Cost and freight (CFR) is a trade term that requires the seller to transport goods by sea to a required port. Another significant difference is the risk transfer. Duty is not assessed on Cost Insurance Freight (CIF) charges. Vote. CIF stands for “Cost, Insurance and Freight” and means that the seller is responsible for the goods until they arrive at the. Article 6: Constitutional Amendment. Central Issue Facility + 2. The CIF terms of shipping has been being used for the past decades. Internet Slang CIF abbreviation meaning defined here. CIF Incoterms only require the seller to pay for transport to the port of destination. It regulates the allocation of responsibility and costs between the buyer and the seller. CIF And CNF Shipping Terms: CIF Shipping Term: Under CIF terms of delivery in export business, Cost Insurance and Freight included in the selling cost of goods. It can be used to describe any form of sexual intercourse. Powder CIF dictionary. Get the top CIF abbreviation related to Marine Corps. See examples of C. CIF is an Incoterm® where the seller would need to pay for the freight insurance and delivery costs to bring the goods to the end port. ”; A friend might say, “I heard they’ve been banging for months now. The internal parts of female sexual anatomy (or what’s typically referred to as female) include: Vagina. For example, when parties engage in a CIF contract that includes terms & conditions of specified goods that are on a ship from their port of origin to a specified port of destination, the seller has custody of the relevant documentation, which. “The Alabama Hot. This involves biological, psychological, physical, erotic, emotional, social, or spiritual feelings and behaviors. Offensive: "natural-born woman", "real woman". What is CIF meaning in Healthcare? 3 meanings of CIF abbreviation related to Healthcare: Vote. Squirting is when a person with a vagina ejaculates fluid during sex. This includes any kind of sexual activity apart from marriage. Die Bezeichnungen von sexuellen Praktiken sind ein Teil der Sexualsprache (siehe auch Glossar der Sexualität und Liste untypischer sexueller. To reiterate, yes the seller pays for the transportation, but at the risk of. I. There are two reasons for that. CIF defines the seller's duty for the products passed to the buyer. Estimated reading time: 6 minutes A guide to shipping terms and incoterms. A term that describes people who experience sexual, romantic, or emotional attraction to people of the “opposite” gender (e. Intersex is an umbrella term used to describe a wide range of natural bodily variations. Compared with CIF, it just. As you surely noticed, "sexual intercourse" is not included as a definition of sex in the First. oral ( Usenet ): Sabrina is a young bisexual girl, who loves Oral, Anal and Double Penetration, within the right situation and is 22 years. Cum in Mouth. 2. Cum In Face Covered in Feces All of our slang term and phrase definitions are made possible by our wonderful visitors. Wajahat Ali. Here are some key takeaways: ‍ Introduction of DPU: One of the most significant changes is the replacement of DAT (Delivered At Terminal) with DPU, offering more flexibility in terms of delivery locations. Incoterm, CIF y FOB. 1 problem I deal with in my practice, and by no means is the higher-desire partner always male,” Dr. Answers after the jump. . CIF Trade terms. But under CIP terms, the liability on risk fulfills by. The seller is responsible to provide three main documents: 1. Medical term used to refer to the chromosomal, hormonal and anatomical characteristics that are used to classify an individual as female or male or intersex. I. Allosexual: A sexual orientation that describes someone who experiences any type of sexual attraction to someone or something. The pleasure is said to be as much psychological as physical [1]. Incoterms are guidelines used in international trade. The contract between parties is a CIF (cost, insurance and freight) contract and as such, the Seller is required to arrange the carriage of the goods, their insurance in transit and all costs of such arrangements are usually included in the contract price (Bridge, 2007). There are too many to name, but other phrases for having sex that deserve a shoutout include: Laying pipe. Because it is a broad term, which has varied with historical contexts over time, it lacks a precise definition. CIF (Cost, Insurance and Freight) This arrangement similar to CFR, but instead of the buyer insuring the goods for the maritime phase of the voyage, the shipper/seller will insure the merchandise. Sexual activity is an essential part of human life. AMAB: Assigned male at birth. What does CIF mean in sex? C*m in fellatio. F. [T]he seller agrees to dispatch goods rather than deliver them at their intended destination, and to procure for the benefit of the buyer the contract of carriage and any other ancillary contracts that may be agreed, e. F. CIF is a term that’s used in international commerce, which is traditionally called Incoterms. CIP is a relatively new Incoterm better designed than CIF to handle the realities. Download the Incoterms® 2020 app The Incoterms® 2020 app is the only official app from the creators and guardians of the Incoterms® rules, the International Chamber of Commerce (ICC)Breeding, or to be bred, generally means having unprotected anal sex. The final CIF cost includes the merchandise price plus 10% of the commercial value of the goods. Remember that God gave us the gift of sex in the first place—and He intended for it to be a source of joy. Anal Sex: Any kind of sexual activity that typically involves penetration of the anus (a. The phrase punch a TERF is often used on social media, particularly on Twitter. “She can pretty much [take it in] anything,” with CIM meaning “in mouth” (oral sex) and CIB “in butt” (anal sex). Share CIF Meaning page. 14. Article 5: Finances. Unlike most other state organizations, it does not have single, statewide championships for all sports; instead, for some sports, the CIF's 10 Sections each. Spanking is often an. The difference between CIF and CIP revolves around the amount of insurance the seller must obtain. The Alabama Hot Pocket: 1. : seller bear’s all costs and risks till the goods reach the buyer’s destination port. This page explains how CIM is used on online dating sites, such as Craigslist, Tinder, Zoosk and Match. oral ( Usenet ): Sabrina is a young bisexual girl, who loves Oral, Anal and Double Penetration, within the right situation and is 22 years. These terms help determine the parties. S. What is CIF in military terms? CIF stands for Central Issue Facility, which is a central location where military personnel are issued specialized equipment and gear for deployment or field training. com, as well as in texts and on chat forums. Seller […]Wrong answers score 0 points. Incoterms are known as International Trade Rules. Cost and freight (CFR) is a trade term that requires the seller to transport goods by sea to a required port. There are two major terms of shipment widely used round the globe. Embassy Logistic Terms: CIF. CIF について意味と使い方を知りたいですか?INCOTERMS の一つ、CIFは貿易の契約条件で最も多く使われています。その理由は、元払いと着払いとの類推で理解できます。FOBとCIFをコンビで理解しておけば、長く貿易実務の中で使えます。Under CIF terms, the seller is responsible for the bulk cargo until it lands at the port of destination. 2004, Sabrina, “A-LEVEL, DP & OWO Horny and Waiting Phone [redacted]”, in alt. ”. Medical term used to refer to the chromosomal, hormonal and anatomical characteristics that are used to classify an individual as female or male or intersex. The Customer Information File (CIF) is a digital database maintained by banks and financial institutions to store and manage crucial information about their customers. T-Take care of business Payment is made to provider. 2004, Sabrina, “A-LEVEL, DP & OWO Horny and Waiting Phone [redacted]”, in alt. 25 to 1, the conversion of RMB = 86. At 4/13/11 10:56 PM, zooos wrote: I know that BBBJ stands for BareBack Blow Job, meaning you don't have to wear a condom. Incoterms 2010 dictates that the CIF Incoterm, or “Cost, Insurance and Freight”, is exclusive to maritime shipping. For CIF, it is the moment the freight reaches the dock of import. Estimated reading time: 6 minutes A guide to shipping terms and incoterms. Slang term for urinating on someone in a sexual context. SWOP Sex Workers Outreach Program, a non-profit company that provides services to prostitutes seeking help Sybian A mechanical sex device that is in the shape of half-barrel with a dildo attachment mounted in the middle SYT Sweet Young Thing. Typically something practiced by people into “urolagnia,” the technical term for “piss play” or “water sports. Kerner said. Summary: CPT vs CIF Incoterms. The Incoterm CIF, or Cost, Insurance, and Freight, is a commonly used international trade term that specifies the responsibilities of both the buyer and seller in a transaction. Here's a list of some of the most common fetishes and what they entail. CIF requires the seller to insure the goods for 110% of their value under at least the minimum cover. What is Cost, Insurance and Freight (CIF)? An Incoterms ® rule, applicable only to ocean or waterway transport, that mirrors CFR, but also requires the seller to arrange and pay for limited insurance to cover against the buyer’s risk of loss of or damage to the goods from the port of shipment to at least as far as the port of destination. Cost, insurance and Freight (CIF), maritime condition. CFR is a short form of “ Cost and Freight ”. Once they’re loaded and in transit, the buyer assumes all responsibility¹. Pronunciation: "Siss-woman". The reason for this is that the CIF value is the basis of valuation used by many Customs authorities across the world. CIF is a short form of “ Cost, Insurance and Freight ”. This term is commonly used in the context of maritime transport. Golden showers. GFE stands for "Girl Friend Experience" and is a slang term for the description of a type of prostitute. g.